I’ve never had much of a sweet tooth. I guess it’s probably
something to do with my formative years coinciding with the end of sweet
rationing. Most food was pretty bland in the fifties (though we didn’t know it)
and when Pat Boone sang about “Tortillas and chilli peppers” in the hit song
“Speedy Gonzalez”, a few years later, I thought he was singing in a foreign
language, which I suppose he was really.
Roger finds the Whittacker's Peasnut Slabs irresistable |
I mention this because although much of the chocolate one
buys in New Zealand is different to that in the UK (evidently Cadbury’s, who
have a factory on the South Island, use buttermilk rather than cream as it
doesn’t melt so quickly), but there is one confectionery that both of us cannot
get enough of. We are both fans of Whittacker’s Peanut Crunch and our daily
sojourns to the Countdown Supermarket always end with the purchase of one to
eat on the walk back home, plus a bag of mini bites in the store cupboard in
the kitchen.
The ground floor is at last beginning to look like a studio
flat. We have a settee and a nice reclining armchair to match – our TV was
delivered a couple of days ago, and James, our son-in-law, redesigned the room
after the furniture arrived, moving stuff around, and I must say it has given
us a lot more space. Naturally, the grand kids want to come and play with the
recliners, and although Livi understands they could easily break, I am not
expecting miracles, so we will have to see.
Livi tries on Erica shoes as she watches "The Jungle Book". Pat, meanwhile recovers from pulling a muscle in her back. The room is slowly taking shape. Another very hot afternoon. |
The weather has been amazingly sunny and hot over the last
week or so which is not that typical of Wellington. I don’t know how long it’s
going to last, but we have taken advantage of it, and the long evenings. I have
been out in garden, cutting and slashing at the undergrowth. Pat has been concentrating
of the area around the large patio outside our French windows. We can now see,
and easily reach the play-tree-house, and my next project is to lick it into
shape, over the next few weeks.
After a week of slashing back the undergrowth, we reveal the play house, my next project, currently taped off as steps are rotten. Livi wants it painted blue. |
Last weekend was a public holiday in New Zealand. Waitangi Day
remembers the date of the treaty between the Maori and the British in
establishing the modern-day New Zealand. The weather was great and we spent
Monday morning on the beach at Scorching Bay, a 20-minute drive away, around
the bay. The previous night James and myself had made the short walk to “One
Fat Bird”, just around the corner from us, which describes itself as a `British-style
pub with a Kiwi twist`. It’s really nothing like a British pub, but they sell
some very interesting beers, many brewed in the local area.
Our "Garage Project" tasting tray at "One Fat Bird" |
Last Sunday a local brewery called “Garage Project” took
over nine of the taps for a day, and we did our best to try them all, though
the one with a chilli kick, was difficult to finish on our sampling tray. I
have moaned long and hard, in previous blogs, about the cost of beer over here,
and it was no different on Sunday night, with most of the beers weighing in at
over 5% and, my favourite, `Garagista` came in at £5.50 for what is a little
**The page is interrupted by records of crystals**
No. 1
Density functional theory data (PBE-GGA) for a relaxed structure of Na14In8Si7S5O48.

The structure in CIF format:
```
data_Na14In8Si7S5O48
_chemical_formula_sum 'Na42 In24 Si21 S15 O144'
_space_group_name_H-M_alt 'P 1'
_space_group_IT_number 1
_cell_length_a 18.518
_cell_length_b 9.275
_cell_length_c 22.684
_cell_angle_alpha 89.92
_cell_angle_beta 89.69
_cell_angle_gamma 120.10
loop_
_space_group_symop_operation_xyz
'x,y,z'
loop_
_atom_site_label
_atom_site_type_symbol
_atom_site_fract_x
_atom_site_fract_y
_atom_site_fract_z
Na1 Na 0.811 0.988 0.238
Na2 Na 0.187 0.364 0.260
Na3 Na 0.690 0.367 0.257
Na4 Na 0.998 0.647 0.239
Na5 Na 0.501 0.649 0.241
Na6 Na 0.310 0.635 0.754
Na7 Na 0.998 0.349 0.747
Na8 Na 0.501 0.354 0.748
Na9 Na 0.187 0.009 0.763
Na10 Na 0.690 0.015 0.765
Na11 Na 0.141 0.332 0.583
Na12 Na 0.643 0.335 0.585
Na13 Na 0.339 0.976 0.579
Na14 Na 0.839 0.977 0.582
Na15 Na 0.141 0.951 0.086
Na16 Na 0.652 0.955 0.087
Na17 Na 0.339 0.700 0.082
Na18 Na 0.839 0.715 0.078
Na19 Na 0.488 0.686 0.929
Na20 Na 0.981 0.682 0.931
Na21 Na 0.344 0.018 0.912
Na22 Na 0.841 0.018 0.922
Na23 Na 0.171 0.298 0.907
Na24 Na 0.676 0.305 0.907
Na25 Na 0.483 0.282 0.423
Na26 Na 0.984 0.283 0.423
Na27 Na 0.173 0.042 0.400
Na28 Na 0.673 0.045 0.401
Na29 Na 0.341 0.666 0.405
Na30 Na 0.843 0.668 0.407
Na31 Na 0.998 0.016 0.496
Na32 Na 0.499 0.016 0.496
Na33 Na 0.989 0.984 0.003
Na34 Na 0.502 0.984 0.998
Na35 Na 0.323 0.322 0.835
Na36 Na 0.820 0.332 0.834
Na37 Na 0.321 0.308 0.327
Na38 Na 0.823 0.324 0.329
Na39 Na 0.165 0.679 0.171
Na40 Na 0.667 0.680 0.163
Na41 Na 0.157 0.651 0.670
Na42 Na 0.669 0.654 0.674
In1 In 0.000 0.996 0.347
In2 In 0.498 0.999 0.348
In3 In 0.999 0.998 0.848
In4 In 0.501 0.004 0.849
In5 In 0.998 0.017 0.654
In6 In 0.500 0.021 0.654
In7 In 0.995 0.984 0.149
In8 In 0.500 0.981 0.153
In9 In 0.336 0.329 0.684
In10 In 0.836 0.333 0.685
In11 In 0.335 0.338 0.185
In12 In 0.836 0.336 0.181
In13 In 0.334 0.338 0.983
In14 In 0.834 0.328 0.987
In15 In 0.332 0.328 0.483
In16 In 0.833 0.328 0.484
In17 In 0.165 0.673 0.014
In18 In 0.671 0.688 0.017
In19 In 0.165 0.655 0.513
In20 In 0.665 0.655 0.514
In21 In 0.182 0.689 0.314
In22 In 0.676 0.675 0.318
In23 In 0.175 0.676 0.819
In24 In 0.685 0.676 0.817
Si1 Si 0.150 0.000 0.248
Si2 Si 0.652 0.999 0.252
Si3 Si 0.349 0.696 0.249
Si4 Si 0.849 0.695 0.251
Si5 Si 0.152 0.305 0.749
Si6 Si 0.653 0.308 0.749
Si7 Si 0.348 0.997 0.749
Si8 Si 0.849 0.001 0.748
Si9 Si 0.486 0.341 0.583
Si10 Si 0.985 0.341 0.583
Si11 Si 0.484 0.631 0.083
Si12 Si 0.987 0.631 0.083
Si13 Si 0.837 0.036 0.084
Si14 Si 0.317 0.665 0.918
Si15 Si 0.817 0.660 0.921
Si16 Si 0.166 0.971 0.916
Si17 Si 0.665 0.967 0.914
Si18 Si 0.316 0.966 0.422
Si19 Si 0.817 0.967 0.420
Si20 Si 0.166 0.364 0.417
Si21 Si 0.665 0.360 0.418
S1 S 0.000 0.299 0.252
S2 S 0.500 0.297 0.251
S3 S 0.001 0.705 0.749
S4 S 0.498 0.705 0.748
S5 S 0.179 0.029 0.585
S6 S 0.680 0.029 0.584
S7 S 0.336 0.634 0.584
S8 S 0.836 0.633 0.583
S9 S 0.336 0.039 0.082
**Back to the page**
less than a pint. You certainly need deep pockets to drink around here.
James kicks off the tasting |
The 15 taps at "One Fat Bird" (For my beer drinking mates) |
Our days and weeks are beginning to get some structure to
them, which is good for Erica and James, who have busy working lives, and for
Livi and Ben, who are not used to us being around. Livi has been quite cool
with me, but I knew she would take some time to come around. Over the last week
or so, she has mellowed, but I have to tread carefully with her. Mum has taken
over the shopping and the washing, and I have mainly cooked. It seems to be
working pretty well, and the idea of turning on a tap and hot water coming out
instantly, and not having to think when I need to empty our loos, hasn’t worn
off yet. It’s quite a big house, and we are not used to having this much space.
We entertain our first guests this weekend, when Sue and
### Between two parts of the article: records of crystals
The following is a GGA-PBE calculation of PrP3O14 after structural relaxation, from the Materials Project.

Cell: 13.105 13.710 6.934 Å, 90.00 90.00 90.00°
Fractional coordinates of all 72 atoms:
Pr1 0.225 0.193 0.320
Pr2 0.275 0.693 0.680
Pr3 0.725 0.307 0.680
Pr4 0.775 0.807 0.320
P1 0.023 0.813 0.562
P2 0.155 0.127 0.801
P3 0.196 0.953 0.562
P4 0.304 0.453 0.438
P5 0.345 0.627 0.199
P6 0.477 0.313 0.438
P7 0.523 0.687 0.438
P8 0.655 0.373 0.199
P9 0.696 0.547 0.438
P10 0.804 0.047 0.562
P11 0.845 0.873 0.801
P12 0.977 0.187 0.562
O1 0.035 0.148 0.752
O2 0.050 0.210 0.402
O3 0.054 0.608 0.115
O4 0.079 0.385 0.856
O5 0.079 0.600 0.945
O6 0.087 0.908 0.496
O7 0.094 0.732 0.624
O8 0.105 0.381 0.027
O9 0.166 0.012 0.756
O10 0.166 0.139 0.014
O11 0.173 0.803 0.892
O12 0.221 0.186 0.669
O13 0.229 0.021 0.405
O14 0.234 0.371 0.379
O15 0.266 0.871 0.621
O16 0.271 0.521 0.595
O17 0.279 0.686 0.331
O18 0.327 0.303 0.108
O19 0.334 0.512 0.244
O20 0.334 0.639 0.986
O21 0.395 0.881 0.973
O22 0.406 0.232 0.376
O23 0.413 0.408 0.504
O24 0.421 0.100 0.055
O25 0.421 0.885 0.144
O26 0.446 0.108 0.885
O27 0.450 0.710 0.598
O28 0.465 0.648 0.248
O29 0.535 0.352 0.248
O30 0.550 0.290 0.598
O31 0.554 0.892 0.885
O32 0.579 0.115 0.144
O33 0.579 0.900 0.055
O34 0.587 0.592 0.504
O35 0.594 0.768 0.376
O36 0.605 0.119 0.973
O37 0.666 0.361 0.986
O38 0.666 0.488 0.244
O39 0.673 0.697 0.108
O40 0.721 0.314 0.331
O41 0.729 0.479 0.595
O42 0.734 0.129 0.621
O43 0.766 0.629 0.379
O44 0.771 0.979 0.405
O45 0.779 0.814 0.669
O46 0.827 0.197 0.892
O47 0.834 0.861 0.014
O48 0.834 0.988 0.756
O49 0.895 0.619 0.027
O50 0.906 0.268 0.624
O51 0.913 0.092 0.496
O52 0.921 0.400 0.945
O53 0.921 0.615 0.856
O54 0.946 0.392 0.115
O55 0.950 0.790 0.402
O56 0.965 0.852 0.752

Values from the calculation:
MP2020-corrected energy	-6.741	eV per atom
total moment	0.00	μB/cell
space group	No. 18
total DFT energy (no corrections)	-6.62	eV per atom

=====

The following is a GGA-PBE calculation of ThI3 after structural relaxation, from the Materials Project.

Cell: 11.205 11.205 14.930 Å, 90.00 90.00 130.88°
Fractional coordinates of all 32 atoms:
Th1 0.000 0.000 0.000
Th2 0.000 0.000 0.250
Th3 0.000 0.000 0.500
Th4 0.000 0.000 0.750
Th5 0.000 0.345 0.000
Th6 0.000 0.655 0.000
Th7 0.345 0.000 0.500
Th8 0.655 0.000 0.500
I1 0.000 0.500 0.179
I2 0.000 0.500 0.821
I3 0.021 0.775 0.373
I4 0.021 0.775 0.627
I5 0.225 0.320 0.129
I6 0.225 0.320 0.871
I7 0.225 0.979 0.127
I8 0.225 0.979 0.873
I9 0.289 0.682 0.500
I10 0.318 0.711 0.000
I11 0.320 0.225 0.371
I12 0.320 0.225 0.629
I13 0.500 0.000 0.321
I14 0.500 0.000 0.679
I15 0.680 0.775 0.371
I16 0.680 0.775 0.629
I17 0.682 0.289 0.000
I18 0.711 0.318 0.500
I19 0.775 0.021 0.127
I20 0.775 0.021 0.873
I21 0.775 0.680 0.129
I22 0.775 0.680 0.871
I23 0.979 0.225 0.373
I24 0.979 0.225 0.627

Values from the calculation:
MP2020-corrected energy	-4.488	eV per atom
space group	No. 66
total DFT energy (no corrections)	-4.20	eV per atom

=====
### End of the records of crystals
Geoff are coming through the city. I worked with Sue at John Lewis, and her and
husband Geoff, often came on our overseas trips. We are really looking forward
to seeing them again.